Count the lines underneath that contain the word "value" and give the number alone, please.

~~~
Record 1
Below is Na2SbSO4F3 after structural relaxation, with properties calculated at the PBE level.

Unit cell a=8.4657 b=8.4657 c=11.2537 alpha=90.00 beta=90.00 gamma=128.73
Sites, in units of the cell vectors:
Na  0.9698  0.4698  0.2500
Na  0.6180  0.3820  0.0000
Na  0.0302  0.5302  0.7500
Na  0.3820  0.6180  0.0000
Na  0.1180  0.8820  0.5000
Na  0.5302  0.0302  0.7500
Na  0.4698  0.9698  0.2500
Na  0.8820  0.1180  0.5000
Sb  0.1125  0.1125  0.1628
Sb  0.3875  0.3875  0.6628
Sb  0.8875  0.8875  0.8372
Sb  0.6125  0.6125  0.3372
S  0.3171  0.6829  0.5000
S  0.8171  0.1829  0.0000
S  0.6829  0.3171  0.5000
S  0.1829  0.8171  0.0000
O  0.7956  0.2735  0.8944
O  0.2735  0.7956  0.8944
O  0.7133  0.9629  0.9765
O  0.7867  0.5371  0.4765
O  0.2265  0.7044  0.3944
O  0.7265  0.2044  0.1056
O  0.7044  0.2265  0.3944
O  0.2956  0.7735  0.6056
O  0.5371  0.7867  0.4765
O  0.2867  0.0371  0.0235
O  0.9629  0.7133  0.9765
O  0.7735  0.2956  0.6056
O  0.2133  0.4629  0.5235
O  0.4629  0.2133  0.5235
O  0.2044  0.7265  0.1056
O  0.0371  0.2867  0.0235
F  0.9041  0.7203  0.7192
F  0.3769  0.3769  0.1161
F  0.2797  0.0959  0.2808
F  0.8769  0.8769  0.3839
F  0.2203  0.4041  0.7808
F  0.6231  0.6231  0.8839
F  0.7203  0.9041  0.7192
F  0.7797  0.5959  0.2192
F  0.4041  0.2203  0.7808
F  0.1231  0.1231  0.6161
F  0.0959  0.2797  0.2808
F  0.5959  0.7797  0.2192

The calculation puts the uncorrected energy at -5.34 eV/atom. The value obtained for the formation enthalpy at 0 K is -232.2 kJ/mol of atoms.


Record 2
Below is U2CuAs2H24O24 after structural relaxation, with properties calculated at the PBE level.

Unit cell a=7.2201 b=7.2201 c=21.1369 alpha=90.00 beta=90.00 gamma=90.00
Sites, in units of the cell vectors:
U  0.5000  0.5000  0.2954
U  0.5000  0.5000  0.7046
U  0.0000  0.0000  0.2046
U  0.0000  0.0000  0.7954
Cu  0.5000  0.5000  0.5000
Cu  0.0000  0.0000  0.0000
As  0.0000  0.5000  0.2500
As  0.0000  0.5000  0.7500
As  0.5000  0.0000  0.2500
As  0.5000  0.0000  0.7500
H  0.8446  0.1544  0.4154
H  0.1554  0.8456  0.4154
H  0.1554  0.1544  0.5846
H  0.8446  0.8456  0.5846
H  0.6554  0.3456  0.0846
H  0.3446  0.6544  0.0846
H  0.3446  0.3456  0.9154
H  0.6554  0.6544  0.9154
H  0.1544  0.8446  0.5846
H  0.8456  0.1554  0.5846
H  0.1544  0.1554  0.4154
H  0.8456  0.8446  0.4154
H  0.3456  0.6554  0.9154
H  0.6544  0.3446  0.9154
H  0.3456  0.3446  0.0846
H  0.6544  0.6554  0.0846
H  0.8960  0.3307  0.3757
H  0.1040  0.6693  0.3757
H  0.1040  0.3307  0.6243
H  0.8960  0.6693  0.6243
H  0.6040  0.1693  0.1243
H  0.3960  0.8307  0.1243
H  0.3960  0.1693  0.8757
H  0.6040  0.8307  0.8757
H  0.3307  0.8960  0.6243
H  0.6693  0.1040  0.6243
H  0.3307  0.1040  0.3757
H  0.6693  0.8960  0.3757
H  0.1693  0.6040  0.8757
H  0.8307  0.3960  0.8757
H  0.1693  0.3960  0.1243
H  0.8307  0.6040  0.1243
H  0.8419  0.4168  0.4716
H  0.1581  0.5832  0.4716
H  0.1581  0.4168  0.5284
H  0.8419  0.5832  0.5284
H  0.6581  0.0832  0.0284
H  0.3419  0.9168  0.0284
H  0.3419  0.0832  0.9716
H  0.6581  0.9168  0.9716
H  0.4168  0.8419  0.5284
H  0.5832  0.1581  0.5284
H  0.4168  0.1581  0.4716
H  0.5832  0.8419  0.4716
H  0.0832  0.6581  0.9716
H  0.9168  0.3419  0.9716
H  0.0832  0.3419  0.0284
H  0.9168  0.6581  0.0284
O  0.5000  0.5000  0.3814
O  0.5000  0.5000  0.6186
O  0.0000  0.0000  0.1186
O  0.0000  0.0000  0.8814
O  0.5000  0.5000  0.2095
O  0.5000  0.5000  0.7905
O  0.0000  0.0000  0.2905
O  0.0000  0.0000  0.7095
O  0.7693  0.5000  0.5000
O  0.2307  0.5000  0.5000
O  0.7307  0.0000  0.0000
O  0.2693  0.0000  0.0000
O  0.5000  0.7693  0.5000
O  0.5000  0.2307  0.5000
O  0.0000  0.7307  0.0000
O  0.0000  0.2693  0.0000
O  0.8169  0.4564  0.3001
O  0.1831  0.5436  0.3001
O  0.1831  0.4564  0.6999
O  0.8169  0.5436  0.6999
O  0.6831  0.0436  0.1999
O  0.3169  0.9564  0.1999
O  0.3169  0.0436  0.8001
O  0.6831  0.9564  0.8001
O  0.4564  0.8169  0.6999
O  0.5436  0.1831  0.6999
O  0.4564  0.1831  0.3001
O  0.5436  0.8169  0.3001
~~~

1